Excerpt
# C72H72N6

A 13-piece molecular cluster, C72H72N6 overall in a non-equilibrium geometry (the ωB97M-V functional and the def2-TZVPD basis, OMol25).

* max |F|: 3.577 eV/Å
* total energy: -84768.4203 eV
* HOMO energy: -8.94 eV
* Kohn-Sham gap: 9.57 eV
* net charge: 0

Geometry (Å):
C (0.282582, 2.149810, 3.182476)
C (1.327925, 3.068282, 3.140719)
C (1.095157, 4.381766, 3.714204)
C (-0.031458, 4.634327, 4.403635)
C (-1.077501, 3.699554, 4.482284)
C (-0.910145, 2.540234, 3.823512)
H (0.493737, 1.154599, 2.763096)
H (2.293620, 2.840682, 2.697788)
H (1.926147, 5.045833, 3.651131)
H (-0.141984, 5.570534, 4.947168)
H (-2.046309, 3.907377, 5.020563)
H (-1.773947, 1.815691, 3.903087)
C (5.645976, -1.095390, -1.053207)
C (4.712115, -2.162752, -1.276279)
C (4.767703, -2.857815, -2.492545)
C (5.827816, -2.568378, -3.413330)
C (6.721341, -1.524015, -3.204614)
C (6.630760, -0.791930, -2.028802)
H (5.633387, -0.477824, -0.145713)
H (3.849051, -2.241090, -0.579081)
H (4.095658, -3.665594, -2.716976)
H (5.950659, -3.173732, -4.323985)
H (7.466405, -1.345113, -4.022309)
H (7.300008, -0.014359, -1.796024)
C (-3.997497, 0.552365, 1.948594)
C (-4.124666, -0.802676, 2.283272)
C (-5.389710, -1.214148, 2.761906)
C (-6.403279, -0.334128, 2.986439)
C (-6.250723, 1.012759, 2.663320)
C (-5.014634, 1.433079, 2.118122)
H (-3.192718, 1.001882, 1.388066)
H (-3.332838, -1.543615, 2.104721)
H (-5.437827, -2.240522, 3.062691)
H (-7.258897, -0.693503, 3.494302)
H (-7.061534, 1.726724, 2.751685)
H (-4.977583, 2.441338, 1.733869)
C (0.297482, -0.501187, 5.473999)
C (1.216945, -1.444194, 5.846977)
C (1.143554, -2.752243, 5.478161)
C (0.189986, -3.121875, 4.563347)
C (-0.742228, -2.216579, 4.104531)
C (-0.706379, -0.936125, 4.579477)
H (0.372712, 0.564861, 5.639901)
H (2.092192, -1.044486, 6.405155)
H (1.871077, -3.462673, 5.923633)
H (0.144634, -4.112336, 4.072316)
H (-1.523375, -2.419166, 3.431725)
H (-1.398335, -0.194031, 4.265294)
C (-4.060811, -1.306737, -5.346416)
C (-3.068374, -0.327911, -5.084638)
C (-2.178687, -0.449840, -4.028975)
C (-2.407167, -1.460501, -3.079844)
C (-3.424037, -2.343678, -3.248142)
C (-4.253074, -2.314578, -4.414291)
H (-4.645098, -1.262593, -6.271440)
H (-2.894630, 0.498600, -5.708132)
H (-1.317658, 0.258631, -3.894820)
H (-1.777710, -1.495532, -2.190832)
H (-3.599488, -3.199378, -2.495303)
H (-4.947208, -3.141995, -4.543524)
C (0.081866, 5.129986, -1.250185)
C (-0.799719, 4.594293, -0.312877)
C (-2.151223, 5.006028, -0.303246)
C (-2.598918, 5.850684, -1.309809)
C (-1.690148, 6.339132, -2.273672)
C (-0.380888, 5.991019, -2.242352)
H (1.158675, 4.981438, -1.171187)
H (-0.380740, 3.961753, 0.481811)
H (-2.815805, 4.614979, 0.447321)
H (-3.610583, 6.140664, -1.209883)
H (-2.015055, 7.048897, -3.006614)
H (0.247042, 6.318585, -3.060330)
C (1.094590, 2.209843, -3.178790)
C (2.071443, 3.056523, -3.732657)
C (3.346270, 2.611446, -3.962254)
C (3.676055, 1.301220, -3.770530)
C (2.723827, 0.451515, -3.283648)
C (1.472291, 0.915926, -2.942127)
H (0.165884, 2.684633, -2.949822)
H (1.846552, 4.072491, -3.882505)
H (3.999516, 3.239705, -4.508790)
H (4.600595, 0.867515, -4.129367)
H (2.968454, -0.577235, -3.163189)
H (0.689603, 0.203305, -2.535844)
N (-4.195226, -4.119091, 0.740913)
C (-4.663222, -5.335861, 0.447666)
C (-3.897642, -6.341451, -0.082970)
C (-2.532464, -6.197883, -0.075491)
C (-2.024233, -4.985336, 0.234874)
C (-2.876176, -3.979299, 0.645885)
H (-5.682651, -5.514306, 0.487316)
H (-4.368550, -7.300018, -0.462973)
H (-1.913730, -6.975420, -0.419113)
H (-0.982873, -4.704368, 0.110794)
H (-2.505584, -3.008714, 0.891065)
N (-6.025795, 2.362931, -2.175406)
C (-5.214018, 1.397584, -1.767503)
C (-5.613903, 0.129310, -1.317193)
C (-6.997725, -0.055188, -1.244840)
C (-7.842728, 0.908629, -1.726752)
C (-7.389403, 2.102121, -2.179402)
H (-4.135930, 1.660618, -1.735739)
H (-4.897531, -0.532512, -0.762116)
H (-7.329881, -1.102658, -1.084207)
H (-8.886026, 0.614483, -1.658331)
H (-7.993164, 2.963487, -2.424501)
N (6.143351, -0.043162, 2.569257)
Activity
Repeat the contents further up from the first line to the one with "(0.247042, 6.318585," exactly.
Written answer
# C72H72N6

A 13-piece molecular cluster, C72H72N6 overall in a non-equilibrium geometry (the ωB97M-V functional and the def2-TZVPD basis, OMol25).

* max |F|: 3.577 eV/Å
* total energy: -84768.4203 eV
* HOMO energy: -8.94 eV
* Kohn-Sham gap: 9.57 eV
* net charge: 0

Geometry (Å):
C (0.282582, 2.149810, 3.182476)
C (1.327925, 3.068282, 3.140719)
C (1.095157, 4.381766, 3.714204)
C (-0.031458, 4.634327, 4.403635)
C (-1.077501, 3.699554, 4.482284)
C (-0.910145, 2.540234, 3.823512)
H (0.493737, 1.154599, 2.763096)
H (2.293620, 2.840682, 2.697788)
H (1.926147, 5.045833, 3.651131)
H (-0.141984, 5.570534, 4.947168)
H (-2.046309, 3.907377, 5.020563)
H (-1.773947, 1.815691, 3.903087)
C (5.645976, -1.095390, -1.053207)
C (4.712115, -2.162752, -1.276279)
C (4.767703, -2.857815, -2.492545)
C (5.827816, -2.568378, -3.413330)
C (6.721341, -1.524015, -3.204614)
C (6.630760, -0.791930, -2.028802)
H (5.633387, -0.477824, -0.145713)
H (3.849051, -2.241090, -0.579081)
H (4.095658, -3.665594, -2.716976)
H (5.950659, -3.173732, -4.323985)
H (7.466405, -1.345113, -4.022309)
H (7.300008, -0.014359, -1.796024)
C (-3.997497, 0.552365, 1.948594)
C (-4.124666, -0.802676, 2.283272)
C (-5.389710, -1.214148, 2.761906)
C (-6.403279, -0.334128, 2.986439)
C (-6.250723, 1.012759, 2.663320)
C (-5.014634, 1.433079, 2.118122)
H (-3.192718, 1.001882, 1.388066)
H (-3.332838, -1.543615, 2.104721)
H (-5.437827, -2.240522, 3.062691)
H (-7.258897, -0.693503, 3.494302)
H (-7.061534, 1.726724, 2.751685)
H (-4.977583, 2.441338, 1.733869)
C (0.297482, -0.501187, 5.473999)
C (1.216945, -1.444194, 5.846977)
C (1.143554, -2.752243, 5.478161)
C (0.189986, -3.121875, 4.563347)
C (-0.742228, -2.216579, 4.104531)
C (-0.706379, -0.936125, 4.579477)
H (0.372712, 0.564861, 5.639901)
H (2.092192, -1.044486, 6.405155)
H (1.871077, -3.462673, 5.923633)
H (0.144634, -4.112336, 4.072316)
H (-1.523375, -2.419166, 3.431725)
H (-1.398335, -0.194031, 4.265294)
C (-4.060811, -1.306737, -5.346416)
C (-3.068374, -0.327911, -5.084638)
C (-2.178687, -0.449840, -4.028975)
C (-2.407167, -1.460501, -3.079844)
C (-3.424037, -2.343678, -3.248142)
C (-4.253074, -2.314578, -4.414291)
H (-4.645098, -1.262593, -6.271440)
H (-2.894630, 0.498600, -5.708132)
H (-1.317658, 0.258631, -3.894820)
H (-1.777710, -1.495532, -2.190832)
H (-3.599488, -3.199378, -2.495303)
H (-4.947208, -3.141995, -4.543524)
C (0.081866, 5.129986, -1.250185)
C (-0.799719, 4.594293, -0.312877)
C (-2.151223, 5.006028, -0.303246)
C (-2.598918, 5.850684, -1.309809)
C (-1.690148, 6.339132, -2.273672)
C (-0.380888, 5.991019, -2.242352)
H (1.158675, 4.981438, -1.171187)
H (-0.380740, 3.961753, 0.481811)
H (-2.815805, 4.614979, 0.447321)
H (-3.610583, 6.140664, -1.209883)
H (-2.015055, 7.048897, -3.006614)
H (0.247042, 6.318585, -3.060330)